Witches: Ancient and Modern Wise-women (and Wise-men)

What are witches like? They are people too, like you and me, but they may be more aware spiritually and connected with nature and its creatures.

Most of them are

 Pantheistic, or mindful of every creature as being a manifestation of God.

**Misplaced materials data**
********
[1]
FeNi15Sb4: simulated powder XRD pattern (CuKα), based on the PBE geometry in Alexandria.
Kinematic intensities with the Lorentz-polarization factor, no thermal factor.

Structural model:
```
data_FeNi15Sb4
_chemical_formula_sum 'Fe1 Ni15 Sb4'
_cell_length_a 3.712
_cell_length_b 3.712
_cell_length_c 18.313
_cell_angle_alpha 90.00
_cell_angle_beta 90.00
_cell_angle_gamma 90.00
_symmetry_space_group_name_H-M 'P 4/m m m'
_symmetry_Int_Tables_number 123
_symmetry_space_group_name_Hall '-P 4 2'
loop_
_atom_site_label
_atom_site_type_symbol
_atom_site_fract_x
_atom_site_fract_y
_atom_site_fract_z
Fe1 Fe 0.000 0.000 0.000
Ni1 Ni 0.000 0.500 0.091
Ni2 Ni 0.000 0.500 0.296
Ni3 Ni 0.000 0.500 0.500
Ni4 Ni 0.500 0.500 0.000
Ni5 Ni 0.500 0.500 0.196
Ni6 Ni 0.500 0.500 0.398
Sb1 Sb 0.000 0.000 0.192
Sb2 Sb 0.000 0.000 0.397
```

The 10 most intense peaks (2θ from 5° to 70°), by angle:
(1 0 0), 2θ 24.0, I 5; (0 0 5), 2θ 24.3, I 2; (1 1 0), 2θ 34.2, I 2; (1 0 5), 2θ 34.4, I 3; (1 1 4), 2θ 39.6, I 2; (1 1 5), 2θ 42.4, I 100; (2 0 0), 2θ 49.1, I 33; (0 0 10), 2θ 49.8, I 14; (2 1 5), 2θ 61.3, I 2; (2 0 9), 2θ 68.4, I 2

---

[2]
Tb8Ga2Rh: simulated powder XRD pattern (CuKα), based on the PBE geometry in Alexandria.
Kinematic intensities with the Lorentz-polarization factor, no thermal factor.

Structural model:
```
data_Tb8Ga2Rh
_chemical_formula_sum 'Tb16 Ga4 Rh2'
_cell_length_a 18.326
_cell_length_b 4.952
_cell_length_c 6.632
_cell_angle_alpha 90.00
_cell_angle_beta 101.02
_cell_angle_gamma 90.00
_symmetry_space_group_name_H-M 'C 1 2/m 1'
_symmetry_Int_Tables_number 12
_symmetry_space_group_name_Hall '-C 2y'
loop_
_atom_site_label
_atom_site_type_symbol
_atom_site_fract_x
_atom_site_fract_y
_atom_site_fract_z
Tb1 Tb 0.023 0.000 0.278
Tb2 Tb 0.090 0.500 0.958
Tb3 Tb 0.151 0.500 0.479
Tb4 Tb 0.209 0.000 0.818
Ga1 Ga 0.189 0.000 0.258
Rh1 Rh 0.000 0.500 0.500
```

The 10 most intense peaks (2θ from 5° to 70°), by angle:
(3 1 1), 2θ 28.5, I 54; (5 1 0), 2θ 30.7, I 100; (5 1 -1), 2θ 31.7, I 41; (1 1 -2), 2θ 32.5, I 100; (3 1 -2), 2θ 33.9, I 25; (1 1 2), 2θ 34.1, I 55; (0 2 0), 2θ 36.3, I 82; (7 1 -1), 2θ 39.6, I 37; (6 0 -4), 2θ 59.2, I 26; (7 1 3), 2θ 64.1, I 32

---

[3]
TlSe2Br4: simulated powder XRD pattern (CuKα), based on the PBE geometry in Alexandria.
Kinematic intensities with the Lorentz-polarization factor, no thermal factor.

Structural model:
```
data_TlSe2Br4
_chemical_formula_sum 'Tl8 Se16 Br32'
_cell_length_a 9.495
_cell_length_b 14.473
_cell_length_c 15.447
_cell_angle_alpha 90.00
_cell_angle_beta 90.00
_cell_angle_gamma 90.00
_symmetry_space_group_name_H-M 'F 2 2 2'
_symmetry_Int_Tables_number 22
_symmetry_space_group_name_Hall 'F 2 2'
loop_
_atom_site_label
_atom_site_type_symbol
_atom_site_fract_x
_atom_site_fract_y
_atom_site_fract_z
Tl1 Tl 0.000 0.000 0.000
Tl2 Tl 0.250 0.250 0.250
Se1 Se 0.130 0.064 0.724
Br1 Br 0.058 0.170 0.850
Br2 Br 0.179 0.065 0.388
```

The 10 most intense peaks (2θ from 5° to 70°), by angle:
********

 Vegan or vegetarian, since they respect life in all forms and are averse to killing. They might not wince at extracting eyes off dead newts for special potions, though:-)

 Highly in touch with the Earth's rhythms and cycles, with the five elements, and the ever-turning wheel of life as birth, maturity and death.

 In affinity with the Moon, which represents the Mother, Maiden and Crone in her various phases and whose presence at night empowers plants and herbs with healing properties.

Most Craft followers maintain a low profile. They do not try to convert or convince anyone to become like them and join them. They are quiet and solitary most of the time, practicing the Craft as unobtrusively to society as they are able to.

But make no mistake about it: these not-really-old-and-ugly hags are happy and bubbly, or why else would they love to cackle? ;-) They might like to wear black for certain rituals, but they are far from the somber, vengeful image that history loves to paint.

The Wise-Woman as a Symbol

The wise-woman is a symbol permanently embedded in the human psyche. Among folks who are fearful or in awe of their extraordinary abilities, she is a mighty archetype with the following formidable guises or impressions:

Creatrix of illusions


Dangerous curse-caster

Heartless poisoner (think Snow White's stepmother)

Seductive sorceress


On the other hand, she is also known as a benign, helpful woman and acknowledged as a


Healer and herbalist


Moon priestess

Mother Nature's defender and protectress

Cryptic fortune-teller

Magical midwife

Ultimately, she is the age-old symbol of sacred, hidden spirituality, the human bridge between the natural and the unnatural, as well as possessor of balance and power.

The wise-woman (or wise-man) considers all things on earth as coming from God and bearing God in its forms. Therefore everything, animate or inanimate, deserves respect and is sacred.

I hope this will erase some people's notion that followers of the "craft of the Wise" are evil to the core. The Romans and early Christians were experts at smear campaigns and propaganda against seers/seeresses and prophets/prophetesses, who lived in Greek territories. The early Christians wanted to convert as many people as possible to Christianity, establish their Church, and rule as many people through it to preserve Rome's ascendancy. They certainly did a thorough job in obliterating the once pristine status and normality of a wise-woman and seer. Nevertheless, religious biases are fading and today we are seeing a gradual return to the old, nature-centered ways. 

I encourage you to read about Wicca, Craft traditions and the origins of witchcraft. These topics are quite hot nowadays:-) You can go back to the Witchcraft Symbols page here.

OR return from the Witches page to the Symbolisms homepage.

*Images on this page (top to bottom): A Visit to the Witch by Edward Frederick Brewtnall, 1882, The Magic Circle by John William Waterhouse, 1886, and Morgan Le Fay by Frederick Sandys, 1864.